'''
[1]
Density functional theory data (r²SCAN) for Sm3Si2Ir2 after structural relaxation.

Cell lengths 4.124, 5.695, 13.338 Å; angles 90.00, 90.00, 111.23 degrees
Fractional positions:
Sm: 0.229 0.457 0.604
Sm: 0.481 0.961 0.250
Sm: 0.771 0.543 0.396
Sm: 0.229 0.457 0.896
Sm: 0.519 0.039 0.750
Sm: 0.771 0.543 0.104
Si: 0.940 0.881 0.588
Si: 0.940 0.881 0.912
Si: 0.060 0.119 0.412
Si: 0.060 0.119 0.088
Ir: 0.182 0.363 0.250
Ir: 0.818 0.637 0.750
Ir: 0.500 0.000 0.000
Ir: 0.500 0.000 0.500

Output
- calculated volume (A^3/atom) = 20.86
- ΔE_f (eV per atom) = -1.03
- raw total energy (eV per atom) = -31.239
- size of the total moment (μB per atom) = 0.0000

=====

[2]
Density functional theory data (r²SCAN) for HoCuPb after structural relaxation.

Cell lengths 4.559, 4.559, 7.339 Å; angles 90.00, 90.00, 120.00 degrees
Fractional positions:
Ho: 0.000 0.000 0.984
Ho: 0.000 0.000 0.484
Cu: 0.667 0.333 0.316
Cu: 0.333 0.667 0.816
Pb: 0.333 0.667 0.214
Pb: 0.667 0.333 0.714

Output
- calculated volume (A^3/atom) = 22.01
- ΔE_f (eV per atom) = -0.49
- raw total energy (eV per atom) = -33.832
- size of the total moment (μB per atom) = 0.0000

=====

[3]
Density functional theory data (r²SCAN) for TmAs after structural relaxation.

Cell lengths 4.049, 4.049, 4.049 Å; angles 60.00, 60.00, 60.00 degrees
Fractional positions:
Tm: 0.500 0.500 0.500
As: 0.000 0.000 0.000

Output
- calculated volume (A^3/atom) = 23.47
- ΔE_f (eV per atom) = -1.78
- raw total energy (eV per atom) = -26.690
- size of the total moment (μB per atom) = 0.0000

=====

[4]
Density functional theory data (r²SCAN) for ErAl3C3 after structural relaxation.

Cell lengths 3.402, 3.402, 17.153 Å; angles 90.00, 90.00, 120.00 degrees
Fractional positions:
Er: 0.000 0.000 0.500
Er: 0.000 0.000 0.000
Al: 0.333 0.667 0.367
Al: 0.667 0.333 0.633
Al: 0.667 0.333 0.867
Al: 0.333 0.667 0.133
Al: 0.333 0.667 0.750
Al: 0.667 0.333 0.250
C: 0.333 0.667 0.908
C: 0.667 0.333 0.092
C: 0.667 0.333 0.408
C: 0.333 0.667 0.592
C: 0.333 0.667 0.250
C: 0.667 0.333 0.750

Output
- calculated volume (A^3/atom) = 12.28
- ΔE_f (eV per atom) = -0.48
- raw total energy (eV per atom) = -12.472
- size of the total moment (μB per atom) = 0.0000

=====

Q: Which value of ΔE_f does entry 2 give?
A: -0.49 eV per atom

=====

Q: Which value of calculated volume does entry 2 give?
A: 22.01 A^3/atom

=====

Q: Which formula does entry 1 have?
A: Sm3Si2Ir2

~~~~~

# MgMn6O10F2, optimized geometry, DFT PBE+U
data_MgMn6O10F2
_chemical_formula_sum 'Mg1 Mn6 O10 F2'
_cell_length_a 5.581
_cell_length_b 5.921
_cell_length_c 7.634
_cell_angle_alpha 106.86
_cell_angle_beta 96.64
_cell_angle_gamma 113.36
_space_group_name_H-M_alt 'P 1'
_space_group_IT_number 1
loop_
_space_group_symop_operation_xyz
'x,y,z'
loop_
_atom_site_label
_atom_site_fract_x
_atom_site_fract_y
_atom_site_fract_z
Mg1 0.000 0.000 0.000
Mn1 0.273 0.535 0.361
Mn2 0.372 0.895 0.755
Mn3 0.615 0.001 0.188
Mn4 0.642 0.458 0.640
Mn5 0.951 0.007 0.501
Mn6 0.965 0.480 0.987
O1 0.017 0.685 0.825
O2 0.155 0.820 0.521
O3 0.256 0.329 0.524
O4 0.311 0.697 0.174
O5 0.587 0.838 0.925
O6 0.605 0.274 0.818
O7 0.635 0.729 0.535
O8 0.721 0.172 0.455
O9 0.857 0.862 0.233
O10 0.933 0.296 0.166
F1 0.053 0.167 0.801
F2 0.385 0.170 0.141
# corrected total energy (MP2020 scheme)	-7.892	eV/atom
# formation energy	-2.109	eV/atom
# raw total energy	-6.95	eV per atom
# relative energy among the computed polymorphs	22	meV/atom
# total magnetization	22.0	Bohr magnetons per cell

***

# Co2As2O7, optimized geometry, DFT PBE+U
data_Co2As2O7
_chemical_formula_sum 'Co2 As2 O7'
_cell_length_a 4.906
_cell_length_b 5.348
_cell_length_c 5.463
_cell_angle_alpha 107.04
_cell_angle_beta 95.91
_cell_angle_gamma 97.26
_space_group_name_H-M_alt 'P 1'
_space_group_IT_number 1
loop_
_space_group_symop_operation_xyz
'x,y,z'
loop_
_atom_site_label
_atom_site_fract_x
_atom_site_fract_y
_atom_site_fract_z
Co1 0.000 0.000 0.000
Co2 0.011 0.372 0.613
As1 0.401 0.928 0.547
As2 0.610 0.438 0.059
'''

Next, transcribe everything earlier on character by character.

[1]
Density functional theory data (r²SCAN) for Sm3Si2Ir2 after structural relaxation.

Cell lengths 4.124, 5.695, 13.338 Å; angles 90.00, 90.00, 111.23 degrees
Fractional positions:
Sm: 0.229 0.457 0.604
Sm: 0.481 0.961 0.250
Sm: 0.771 0.543 0.396
Sm: 0.229 0.457 0.896
Sm: 0.519 0.039 0.750
Sm: 0.771 0.543 0.104
Si: 0.940 0.881 0.588
Si: 0.940 0.881 0.912
Si: 0.060 0.119 0.412
Si: 0.060 0.119 0.088
Ir: 0.182 0.363 0.250
Ir: 0.818 0.637 0.750
Ir: 0.500 0.000 0.000
Ir: 0.500 0.000 0.500

Output
- calculated volume (A^3/atom) = 20.86
- ΔE_f (eV per atom) = -1.03
- raw total energy (eV per atom) = -31.239
- size of the total moment (μB per atom) = 0.0000

=====

[2]
Density functional theory data (r²SCAN) for HoCuPb after structural relaxation.

Cell lengths 4.559, 4.559, 7.339 Å; angles 90.00, 90.00, 120.00 degrees
Fractional positions:
Ho: 0.000 0.000 0.984
Ho: 0.000 0.000 0.484
Cu: 0.667 0.333 0.316
Cu: 0.333 0.667 0.816
Pb: 0.333 0.667 0.214
Pb: 0.667 0.333 0.714

Output
- calculated volume (A^3/atom) = 22.01
- ΔE_f (eV per atom) = -0.49
- raw total energy (eV per atom) = -33.832
- size of the total moment (μB per atom) = 0.0000

=====

[3]
Density functional theory data (r²SCAN) for TmAs after structural relaxation.

Cell lengths 4.049, 4.049, 4.049 Å; angles 60.00, 60.00, 60.00 degrees
Fractional positions:
Tm: 0.500 0.500 0.500
As: 0.000 0.000 0.000

Output
- calculated volume (A^3/atom) = 23.47
- ΔE_f (eV per atom) = -1.78
- raw total energy (eV per atom) = -26.690
- size of the total moment (μB per atom) = 0.0000

=====

[4]
Density functional theory data (r²SCAN) for ErAl3C3 after structural relaxation.

Cell lengths 3.402, 3.402, 17.153 Å; angles 90.00, 90.00, 120.00 degrees
Fractional positions:
Er: 0.000 0.000 0.500
Er: 0.000 0.000 0.000
Al: 0.333 0.667 0.367
Al: 0.667 0.333 0.633
Al: 0.667 0.333 0.867
Al: 0.333 0.667 0.133
Al: 0.333 0.667 0.750
Al: 0.667 0.333 0.250
C: 0.333 0.667 0.908
C: 0.667 0.333 0.092
C: 0.667 0.333 0.408
C: 0.333 0.667 0.592
C: 0.333 0.667 0.250
C: 0.667 0.333 0.750

Output
- calculated volume (A^3/atom) = 12.28
- ΔE_f (eV per atom) = -0.48
- raw total energy (eV per atom) = -12.472
- size of the total moment (μB per atom) = 0.0000

=====

Q: Which value of ΔE_f does entry 2 give?
A: -0.49 eV per atom

=====

Q: Which value of calculated volume does entry 2 give?
A: 22.01 A^3/atom

=====

Q: Which formula does entry 1 have?
A: Sm3Si2Ir2

~~~~~

# MgMn6O10F2, optimized geometry, DFT PBE+U
data_MgMn6O10F2
_chemical_formula_sum 'Mg1 Mn6 O10 F2'
_cell_length_a 5.581
_cell_length_b 5.921
_cell_length_c 7.634
_cell_angle_alpha 106.86
_cell_angle_beta 96.64
_cell_angle_gamma 113.36
_space_group_name_H-M_alt 'P 1'
_space_group_IT_number 1
loop_
_space_group_symop_operation_xyz
'x,y,z'
loop_
_atom_site_label
_atom_site_fract_x
_atom_site_fract_y
_atom_site_fract_z
Mg1 0.000 0.000 0.000
Mn1 0.273 0.535 0.361
Mn2 0.372 0.895 0.755
Mn3 0.615 0.001 0.188
Mn4 0.642 0.458 0.640
Mn5 0.951 0.007 0.501
Mn6 0.965 0.480 0.987
O1 0.017 0.685 0.825
O2 0.155 0.820 0.521
O3 0.256 0.329 0.524
O4 0.311 0.697 0.174
O5 0.587 0.838 0.925
O6 0.605 0.274 0.818
O7 0.635 0.729 0.535
O8 0.721 0.172 0.455
O9 0.857 0.862 0.233
O10 0.933 0.296 0.166
F1 0.053 0.167 0.801
F2 0.385 0.170 0.141
# corrected total energy (MP2020 scheme)	-7.892	eV/atom
# formation energy	-2.109	eV/atom
# raw total energy	-6.95	eV per atom
# relative energy among the computed polymorphs	22	meV/atom
# total magnetization	22.0	Bohr magnetons per cell

***

# Co2As2O7, optimized geometry, DFT PBE+U
data_Co2As2O7
_chemical_formula_sum 'Co2 As2 O7'
_cell_length_a 4.906
_cell_length_b 5.348
_cell_length_c 5.463
_cell_angle_alpha 107.04
_cell_angle_beta 95.91
_cell_angle_gamma 97.26
_space_group_name_H-M_alt 'P 1'
_space_group_IT_number 1
loop_
_space_group_symop_operation_xyz
'x,y,z'
loop_
_atom_site_label
_atom_site_fract_x
_atom_site_fract_y
_atom_site_fract_z
Co1 0.000 0.000 0.000
Co2 0.011 0.372 0.613
As1 0.401 0.928 0.547
As2 0.610 0.438 0.059